## Entries
'''
[1]
Material: NdEuGdAg
Method: DFT, GGA-PBE
State: relaxed

Summary:
Calculated total energy   -7.9074 eV per atom
Energy of formation from the pure elements   0.086 eV per atom
Calculated volume   29.54 Å³ per atom

Unit cell a=7.789 b=7.789 c=7.789 alpha=90.00 beta=90.00 gamma=90.00
Space group F-43m (No. 216)
Symmetry-distinct sites (fractional):
1 Nd 0.000 0.000 0.000 x4
2 Eu 0.250 0.250 0.250 x4
3 Gd 0.000 0.000 0.500 x4
4 Ag 0.250 0.250 0.750 x4



[2]
Material: Cu3P
Method: DFT, GGA-PBE
State: relaxed

Summary:
Calculated total energy   -4.3459 eV per atom
Energy of formation from the pure elements   0.079 eV per atom
Calculated volume   12.52 Å³ per atom

Unit cell a=2.596 b=4.047 c=4.849 alpha=90.00 beta=100.53 gamma=90.00
Space group P2/m (No. 10)
Symmetry-distinct sites (fractional):
1 Cu 0.000 0.000 0.000 x1
2 Cu 0.296 0.500 0.747 x2
3 P 0.000 0.000 0.500 x1



[3]
Material: Cu2PCl
Method: DFT, GGA-PBE
State: relaxed

Summary:
Calculated total energy   -3.7087 eV per atom
Energy above the most stable polymorph in this dataset   249 meV/atom
Calculated volume   23.51 Å³ per atom
Formation energy without anion corrections   0.154 eV per atom

Unit cell a=3.077 b=7.145 c=8.555 alpha=90.00 beta=90.00 gamma=90.00
Space group Immm (No. 71)
Symmetry-distinct sites (fractional):
1 Cu 0.000 0.233 0.000 x4
2 P 0.000 0.500 0.500 x2
3 Cl 0.000 0.000 0.500 x2
'''

## Request
Count the lines further above that contain the word "polymorph" and give the number alone.

## Solution
1